Tuesday, October 03, 2006

Between two parts of the piece: crystal structures
'''
Cs2PrNi3F12 after structural relaxation. Source: Alexandria, functional PBE with a Hubbard U.

Cell: 7.4737 7.4737 18.6600 Å, 90.00 90.00 120.00°
With the nearest neighbours (Å) after each atom.
Space group R-3m (No. 166, hexagonal axes)
Inequivalent atoms, fractional coordinates:
Cs 0.0000 0.0000 0.1115 (multiplicity 6)  9 F 3.10-3.39
Pr 0.0000 0.0000 0.5000 (multiplicity 3)  6 F 2.33
Ni 0.0000 0.5000 0.0000 (multiplicity 9)  6 F 1.95-2.02
F 0.0152 0.5076 0.1081 (multiplicity 18)  1 Ni 2.02
F 0.0786 0.5393 0.3326 (multiplicity 18)  2 Ni 1.95

Uncorrected energy ... -4.686 eV per atom
Crystal system ... trigonal
DOS at the Fermi energy ... 8.48 states/eV/cell

* * * * *

BaY2MgNi after structural relaxation, computed with GGA-PBE.

Cell lengths 5.3577, 5.3577, 5.3333 Å; angles 90.00, 90.00, 90.00 degrees
Closest atoms and distances in Å follow each position.
Fractional coordinates of all 5 atoms:
Y1 0.0000 0.5000 0.0000  2 Ni 2.68
Y2 0.5000 0.0000 0.0000  2 Ni 2.68
Ni1 0.0000 0.0000 0.0000  2 Mg 2.67, 4 Y 2.68
Mg1 0.0000 0.0000 0.5000  2 Ni 2.67
Ba1 0.5000 0.5000 0.5000  8 Y 3.78, 4 Mg 3.79

Output
Energy of formation ... -0.053 eV per atom
Symmetry ... P4/mmm (123)
Total moment ... 0.0 Bohr magnetons per cell
Final energy ... -4.499 eV per atom
DOS at the Fermi energy ... 0.66 states/eV per atom
Calculated volume ... 153.1 Å³/f.u.

* * * * *

DFT (PBE+U) results for an optimized crystal structure of CoTcAuO2.

Calculated values
Uncorrected energy in eV/atom: -4.4888

Cell lengths 4.0798, 4.0798, 4.8954 Å; angles 90.00, 90.00, 90.00 degrees
Closest atoms and distances in Å follow each position.
Space group P4/mmm (No. 123)
Inequivalent atoms, fractional coordinates:
Co  0.0000  0.0000  0.0000 (multiplicity 1)  2 Au 2.45
Tc  0.5000  0.5000  0.0000 (multiplicity 1)  4 Co 2.88, 8 O 3.19
Au  0.0000  0.0000  0.5000 (multiplicity 1)  4 O 2.04
O  0.0000  0.5000  0.5000 (multiplicity 2)  2 Au 2.04

* * * * *

[1]
A plane-wave DFT calculation with PBE-GGA was carried out for an optimized crystal structure of Mn3Ir.

Values from the calculation:
**D(E_F)**: 6.681 states/eV/cell
**Energy of formation**: -0.12 eV per atom

a b c (Å): 5.2134 7.2675 2.6481
angles (deg): 90.00 90.00 90.00
Space group Cmmm (No. 65)
Inequivalent atoms, fractional coordinates:
Mn (0.0000, 0.0000, 0.0000)
Mn (0.2500, 0.2500, 0.5000)
Ir (0.0000, 0.5000, 0.0000)

=====

[2]
A plane-wave DFT calculation with PBE-GGA was carried out for an optimized crystal structure of Mn3Ir.

Values from the calculation:
**D(E_F)**: 3.765 states/eV/cell
**Energy of formation**: -0.09 eV per atom

a b c (Å): 2.6386 3.6338 5.2035
angles (deg): 90.00 90.00 90.00
Space group Pmmm (No. 47)
Inequivalent atoms, fractional coordinates:
Mn (0.0000, 0.0000, 0.0000)
Mn (0.5000, 0.5000, 0.2460)
Ir (0.0000, 0.0000, 0.5000)

=====

[3]
A plane-wave DFT calculation with PBE-GGA was carried out for an optimized crystal structure of MnIr.

Values from the calculation:
**D(E_F)**: 5.285 states/eV/cell
'''

Welcome to my blog!

Where to start? For those of you new to my adventures, I'm living in MS for a year doing volunteer work. This blog is an attempt to keep everyone updated while also maintaining the essence of Brenna. Expect my usual sassy self.

Some things I am loving about Gulfport and my life:
The weather-its always warm!
The people- super friendly and thankful for our presence.
Food- Everything is spicy, just how like it and who knew fried shrimp was so delicious?
Football- Everyone loooves it. I hope you all saw that Saints/Falcons game.
My job- Creating an after-school program is proving to be just the challenge I was looking for.
My living situation- Fabulous roommates and I can feel free to express my faith on a daily basis. Great theological discussions.

Some cons:

Data records that have nothing to do with the page:
Run i
Entry from the Alexandria database: crystalline RbLaI3 at its relaxed geometry (PBE).

Cell lengths 4.482, 9.628, 11.420 Å; angles 97.89, 101.33, 103.46 degrees
Each line ends with the local moment (μB).
Sites, in units of the cell vectors:
La: 0.619 0.885 0.437  0.41
La: 0.877 0.661 0.177  0.41
I: 0.395 0.530 0.344  0.00
I: 0.180 0.808 0.634  0.00
I: 0.632 0.345 0.001  0.00
I: 0.101 0.015 0.270  0.00
I: 0.317 0.738 0.979  0.00
I: 0.865 0.201 0.612  0.00
Rb: 0.930 0.046 0.897  0.00
Rb: 0.567 0.500 0.716  0.00

Run ii
Entry from the Alexandria database: crystalline RbLaI3 at its relaxed geometry (PBE).

Cell lengths 7.964, 10.732, 10.732 Å; angles 72.29, 89.99, 90.01 degrees
Each line ends with the local moment (μB).
Sites, in units of the cell vectors:
La: 0.398 0.218 0.282  0.12
La: 0.898 0.282 0.218  0.12
La: 0.102 0.718 0.782  0.12
La: 0.602 0.782 0.718  0.12
I: 0.378 0.826 0.959  0.00
I: 0.721 0.053 0.447  0.00
I: 0.622 0.174 0.041  0.00
I: 0.221 0.447 0.053  0.00
I: 0.122 0.327 0.459  0.00
I: 0.779 0.553 0.947  0.00
I: 0.122 0.041 0.173  0.00
I: 0.378 0.541 0.674  0.00
I: 0.279 0.947 0.553  0.00
I: 0.878 0.673 0.541  0.00
I: 0.622 0.459 0.326  0.00
I: 0.878 0.959 0.827  0.00
Rb: 0.750 0.830 0.170  0.00
Rb: 0.750 0.330 0.670  0.00
Rb: 0.250 0.670 0.330  0.00
Rb: 0.250 0.170 0.830  0.00

Name the least stable of them. run ii.

~~~~~

Record 1
# PBE-GGA Ba2ZrIr3O12, optimized geometry
# formation energy without anion corrections	-1.573	eV/atom
# Fermi-level density of states	53.157	states/eV per cell
data_Ba2ZrIr3O12
_chemical_formula_sum 'Ba6 Zr3 Ir9 O36'
_cell_length_a 7.1918
_cell_length_b 7.1918
_cell_length_c 17.8342
_cell_angle_alpha 90.00
_cell_angle_beta 90.00
_cell_angle_gamma 120.00
_symmetry_space_group_name_H-M 'R -3 m'
_symmetry_Int_Tables_number 166
_symmetry_space_group_name_Hall '-R 3 2"'
loop_
_atom_site_label
_atom_site_type_symbol
_atom_site_fract_x
_atom_site_fract_y
_atom_site_fract_z
Ba1 Ba 0.0000 0.0000 0.1178
Zr1 Zr 0.0000 0.0000 0.5000
Ir1 Ir 0.0000 0.5000 0.0000
O1 O 0.0353 0.5177 0.1093
O2 O 0.0546 0.5273 0.3455



Record 2
# PBE-GGA BaTcW, optimized geometry
# distance to the lowest polymorph of the same formula	2121.3	meV per atom
# DFT formation energy	8.499	eV per formula unit
# Fermi-level density of states	18.355	states/eV per cell
data_BaTcW
_chemical_formula_sum 'Ba4 Tc4 W4'
_cell_length_a 6.604
_cell_length_b 6.604
_cell_length_c 6.604
_cell_angle_alpha 90.00
_cell_angle_beta 90.00
_cell_angle_gamma 90.00
_symmetry_space_group_name_H-M 'F -4 3 m'
_symmetry_Int_Tables_number 216
_symmetry_space_group_name_Hall 'F -4 2 3'
loop_
_atom_site_label
_atom_site_type_symbol
_atom_site_fract_x
_atom_site_fract_y
_atom_site_fract_z
Ba1 Ba 0.000 0.000 0.000
Tc1 Tc 0.250 0.250 0.250
W1 W 0.250 0.250 0.750



Record 3
# PBE-GGA Pm3SmHo6, optimized geometry
# distance to the lowest polymorph of the same formula	0.0	meV per atom
# DFT formation energy	0.174	eV per formula unit

The weather-Will it ever be cold? I miss my sweaters! Also have these people heard of opening windows? I swear all the energy of the world gets sucked to the air conditioners of Mississippi.
The people- Seriously you do not need my life story within the first five minutes of meeting me. Also, its apparently NOT acceptable that I roam around unescorted by a man. I've had several uncomfortable experiences due to that ideology.
Food- I unfortunately learned the hard way that the vein in a shrimp is really its poop chute. Yeah I'm done with uncleaned shrimp for a while.
Football- I'm trying hard, but I think if I have to watch another game I might scream, except aren't the Giants playing this weekend? Ok one more.
My Job- I'm not actually working with kids yet and I'm learning that in the South it takes a long time to get a call back.
My living situation- Our current situation allows for many strangers to walk through our space which is very uncomfortable for me. Also, my office is the next door down from my bedroom. I get very confused about when I'm working and when I'm not. I am also unfortunately a professional cockroach killer at this point.

# Records of crystals, as found in the file
=====
No. 1
# ThTePb | Alexandria | PBE | relaxed
# Energy (eV/atom): -5.319
# D(E_F) (states/eV per cell): 5.505
data_ThTePb
_chemical_formula_sum 'Th2 Te2 Pb2'
_space_group_name_H-M_alt 'I 4 m m'
_space_group_IT_number 107
_space_group_name_Hall 'I 4 -2'
_cell_length_a 4.0470
_cell_length_b 4.0470
_cell_length_c 11.3056
_cell_angle_alpha 90.00
_cell_angle_beta 90.00
_cell_angle_gamma 90.00
loop_
_atom_site_label
_atom_site_fract_x
_atom_site_fract_y
_atom_site_fract_z
Th1 0.0000 0.0000 0.0000
Te1 0.0000 0.0000 0.6286
Pb1 0.0000 0.0000 0.3132

No. 2
# Th5Te5Pb | Alexandria | PBE | relaxed
# Energy (eV/atom): -6.093
# D(E_F) (states/eV per cell): 18.988
data_Th5Te5Pb
_chemical_formula_sum 'Th10 Te10 Pb2'
_space_group_name_H-M_alt 'C 1 2/m 1'
_space_group_IT_number 12
_cell_length_a 14.0515
_cell_length_b 6.3103
_cell_length_c 8.8767
_cell_angle_alpha 90.00
_cell_angle_beta 108.17
_cell_angle_gamma 90.00
loop_
_space_group_symop_operation_xyz
'x,y,z'
'-x,-y,-z'
'-x,y,-z'
'x,-y,z'
'x+1/2,y+1/2,z'
'-x+1/2,-y+1/2,-z'
'-x+1/2,y+1/2,-z'
'x+1/2,-y+1/2,z'
loop_
_atom_site_label
_atom_site_fract_x
_atom_site_fract_y
_atom_site_fract_z
Th1 0.0000 0.0000 0.0000
Th2 0.1664 0.5000 0.3346
Th3 0.1755 0.5000 0.8388
Te1 0.0000 0.5000 0.5000
Te2 0.1548 0.0000 0.3444
Te3 0.1561 0.0000 0.8114
Pb1 0.0000 0.5000 0.0000

No. 3
# Th4Te3Pb | Alexandria | PBE | relaxed
# Energy (eV/atom): -6.220
# D(E_F) (states/eV per cell): 7.528
data_Th4Te3Pb
_chemical_formula_sum 'Th4 Te3 Pb1'
_space_group_name_H-M_alt 'P 4/m m m'
_space_group_IT_number 123
_space_group_name_Hall '-P 4 2'
_cell_length_a 3.8293
_cell_length_b 3.8293
_cell_length_c 15.8583
_cell_angle_alpha 90.00
_cell_angle_beta 90.00
_cell_angle_gamma 90.00
loop_
_atom_site_label
_atom_site_fract_x
_atom_site_fract_y
_atom_site_fract_z
Th1 0.0000 0.0000 0.1219
Th2 0.0000 0.0000 0.3687
Te1 0.5000 0.5000 0.0000
Te2 0.5000 0.5000 0.2436
Pb1 0.5000 0.5000 0.5000

=====

Record 1
The following is a PBE calculation of crystalline Tb2NdSmEr4 at its relaxed geometry, from Alexandria.

abc: 9.486 9.486 11.760
angles: 128.31 128.31 88.57
Fractional coordinates of all 16 atoms:
Er 0.748 0.750 0.001
Er 0.747 0.250 0.999
Er 0.253 0.750 0.001
Er 0.250 0.753 0.501
Er 0.252 0.250 0.999
Er 0.750 0.752 0.499
Er 0.250 0.248 0.501
Er 0.750 0.247 0.499
Sm 0.000 0.000 0.000
Sm 0.500 0.500 0.500
Nd 0.000 0.500 0.000
Nd 0.000 0.500 0.500
Tb 0.500 0.500 0.000
Tb 0.000 0.000 0.500
Tb 0.500 0.000 0.000
Tb 0.500 0.000 0.500

Record 2
The following is a PBE calculation of crystalline TbNd2SmEr6 at its relaxed geometry, from Alexandria.

abc: 9.689 8.743 8.743
angles: 118.03 94.66 94.66
Fractional coordinates of all 20 atoms:
Nd 0.957 0.705 0.807
Nd 0.543 0.193 0.295
Nd 0.043 0.295 0.193
Nd 0.457 0.807 0.705
Er 0.881 0.294 0.507
Er 0.686 0.023 0.574
Er 0.814 0.426 0.977
Er 0.314 0.977 0.426
Er 0.186 0.574 0.023
Er 0.119 0.706 0.493
Er 0.057 0.123 0.740
Er 0.443 0.260 0.877
Er 0.619 0.493 0.706
Er 0.381 0.507 0.294
Er 0.943 0.877 0.260
=====

The picture above is from our retreat to New Mexico. We got to meet all the Young Adult Volunteers (the program I'm working through) from across the country and see what they're up to. It was a great time for me to worship and meet lots of other kids who are both liberal and religious. We did lots of hiking, although I freaked out on the really big trail, and had an awesome bonfire the last night. At said bonfire, I was quite proud of the way I knew the words to all the "classics" such as Free Bird, Hotel California and House of the Rising Sun, but then equally shamed when I didn't know any of the christian songs. Oh well, those along with, sadly, many books of the bible, I am determined to get to know better.

Say prayers or think happy thoughts for me, more to come soon!

1 comment:

Aubrey said...

I am so excited you started a blog! It is a great way to communicate to a group of people. Make sure you post lots of pictures. And all your friends back here on the East Coast know you can hold your own without no man...
